# What to do
Your job: search the material underneath for the word "have" and repeat each line that has it.

# Contents
Record 1
Here is Mg3Sc2Ga4 after structural relaxation from Alexandria via LeMat-Bulk. Energies are from GGA-PBE.

Output
energy relative to the elements: -275 meV per atom
E: -128.12 eV for the cell shown
total magnetization: 0.00 μB/cell
DOS at the Fermi energy: 23.360 states/eV per cell

abc: 5.8305 16.7027 7.3075
angles: 90.00 90.00 90.00
With the nearest neighbours (Å) after each atom.
Space group Cmce (No. 64)
Inequivalent atoms, fractional coordinates:
Mg: 0.0000 0.0000 0.0000  6 Ga 2.63-2.65
Mg: 0.2500 0.2398 0.2500  5 Ga 2.77-2.84, 2 Mg 2.92
Sc: 0.0000 0.0898 0.6030  7 Ga 2.93-3.25, 1 Mg 3.27
Ga: 0.0000 0.1581 0.9729  5 Mg 2.65-2.84, 2 Ga 2.88, 1 Sc 2.93
Ga: 0.2500 0.0716 0.2500  3 Mg 2.63-2.81, 4 Ga 2.88-2.92

=====

Record 2
Here is MnSi2Te after structural relaxation from Alexandria via LeMat-Bulk. Energies are from GGA-PBE.

Output
energy relative to the elements, uncorrected: 2.05 eV/f.u.
E: -84.44 eV for the cell shown
total magnetization: 11.43 μB/cell
DOS at the Fermi energy: 8.119 states/eV per cell

abc: 5.7942 5.7942 11.7126
angles: 90.00 90.00 90.00
With the nearest neighbours (Å) after each atom.
Space group I-42d (No. 122)
Inequivalent atoms, fractional coordinates:
Mn: 0.0000 0.0000 0.0000  4 Si 2.34
Si: 0.1919 0.2500 0.1250  2 Mn 2.34
Te: 0.0000 0.0000 0.5000  4 Si 2.73

=====

Record 3
Here is CaLaHg after structural relaxation from Alexandria via LeMat-Bulk. Energies are from GGA-PBE.

Output
energy relative to the elements: 230 meV per atom
E: -26.17 eV for the cell shown
total magnetization: 0.00 μB/cell
DOS at the Fermi energy: 18.471 states/eV per cell

abc: 7.4508 7.4508 7.4508
angles: 90.00 90.00 90.00
With the nearest neighbours (Å) after each atom.
Space group F-43m (No. 216)
Inequivalent atoms, fractional coordinates:
Ca: 0.0000 0.0000 0.0000  4 La 3.23
La: 0.2500 0.2500 0.7500  4 Hg 3.23, 4 Ca 3.23
Hg: 0.0000 0.0000 0.5000  4 La 3.23

=====

Record 4
Here is SrNpGe2 after structural relaxation from Alexandria via LeMat-Bulk. Energies are from GGA-PBE.

Output
energy relative to the elements: -236 meV per atom
E: -24.80 eV for the cell shown
total magnetization: 4.21 μB/cell
DOS at the Fermi energy: 6.206 states/eV per cell

abc: 3.3577 3.3577 8.5449
angles: 90.00 90.00 90.00
With the nearest neighbours (Å) after each atom.
Space group P4/mmm (No. 123)
Inequivalent atoms, fractional coordinates:
Sr: 0.0000 0.0000 0.0000  8 Ge 3.29, 4 Sr 3.36
Np: 0.0000 0.0000 0.5000  8 Ge 3.10, 4 Np 3.36
Ge: 0.5000 0.5000 0.2664  4 Np 3.10, 4 Sr 3.29, 4 Ge 3.36

=====

Question: What is the formula in the third record?
Answer: CaLaHg

=====

Question: Which formula does entry 2 have?
Answer: MnSi2Te

# Completed
Question: Which formula does entry 2 have?